The Digital Dilemma-Creating a digital archive - ColdSnap Photography

The Digital Dilemma–Creating a digital archive

The Digital Dilemma

Good Camera Techniques:
Shoot, download, save, back-up, reformat.
Your camera’s disc is not a long term storage device!
They can and will fail at any time. Badlands Landscape
Always reformat the camera disc after you have removed it from the camera and downloaded images.
Good Storage Techniques:
Your computer’s hard-drive is the best and most stable storage device.
All digital media can and will fail with time, even your computer’s hard-drive, therefore it is imperative that you have a back-up plan.
Back-up your digital files frequently on a separate hard-drive. I recommend external hard-drives like the “Free Agent Desk” drive by Seagate-1Terrabyte drive is about $170. Store off-site if possible.
The Industry buzz word for “archiving” digital media is “Migration” what that means is that no digital device or storage media can be trusted for long-term storage. You must continuously up-grade your storage media and devices to keep abreast of technological change, in short KEEP UP WITH THE TIMES.

Digital Media
CD discs-Short term storage, approximately 3-7 years.
DVD discs– Short term storage, approximately 3-7 years.
Sata II Hard-drives (Standard hard-drive found in most computers today.) A great for medium term storage-approximately 7 year average lifespan.  Storage on hard-drives requires redundancy and back-up of file storage. RAID systems or Drobo type device for large volume users.

Next to the page, the page also holds data records:
+++
Entry from the OMol25 dataset: a molecular structure, C3H6N2O2S in a non-equilibrium geometry (ωB97M-V with the def2-TZVPD basis set).

```
14
Properties=species:S:1:pos:R:3:forces:R:3:mulliken_charge:R:1
C -0.201 1.806 -0.580 -0.54 2.74 -0.08 -0.23
C 0.794 0.832 -0.258 -2.02 -2.68 -2.93 -0.21
C 0.747 -1.436 0.734 -3.42 0.82 -4.22 -0.94
N -1.398 1.521 -0.332 -1.41 -0.39 0.26 -0.41
N 0.217 -0.033 0.723 -0.61 -1.15 0.81 -0.20
O -1.415 -1.567 -1.431 -0.11 1.76 1.83 -0.43
O -2.322 -0.144 1.415 -0.73 -0.13 1.37 -0.51
S -1.430 -0.051 0.324 0.84 -1.15 -3.41 0.68
H 0.020 2.815 -0.997 0.00 -0.90 0.09 0.36
H 0.861 0.355 -1.308 0.34 -0.15 1.11 0.28
H 1.696 1.174 -0.042 3.99 1.57 1.26 0.51
H 0.405 -1.865 -0.305 0.45 0.37 1.77 0.39
H 1.749 -1.373 0.600 3.17 -0.15 0.75 0.39
H 0.277 -2.035 1.456 0.04 -0.55 1.38 0.31
```
Positions in Å, forces in eV/Å.

Summary:
Energy = -775.8330 a.u.
Frontier orbital gap (spin up / spin down) = 8.3589 / 8.3480 eV
F_max = 5.490 eV/Å
Charge = 0
Relative energy (zero: lowest compared OMol25 entry of this formula, charge and spin) = 192.7 kcal/mol

Entry from the OMol25 dataset: C3H6N2O3 in the gas phase in a non-equilibrium geometry (ωB97M-V with the def2-TZVPD basis set).

```
14
Properties=species:S:1:pos:R:3:forces:R:3:mulliken_charge:R:1
C -2.522 0.302 -0.060 -3.18 -1.66 0.03 -0.58
C -0.476 -0.320 -0.032 3.68 2.18 1.83 0.72
C 2.368 0.135 0.184 2.06 0.01 -2.06 0.06
H -2.349 1.386 0.130 -0.38 -1.00 -0.08 0.28
H -2.664 -0.352 0.962 0.35 1.94 -2.60 0.29
H -3.379 0.038 -0.785 0.82 1.07 1.59 0.22
H 1.318 -1.196 1.018 -0.14 -0.83 2.04 0.34
H 3.066 0.027 0.990 0.60 0.43 0.63 0.36
H 1.685 1.017 -1.352 1.39 -0.37 0.23 0.28
N 1.722 -1.113 0.127 -1.96 1.09 -0.96 -0.22
N 2.531 1.018 -0.720 -2.27 0.07 0.82 -0.61
O -1.450 -0.247 -0.846 -1.75 -0.04 0.33 -0.29
O -0.350 0.317 1.022 0.06 -2.01 -1.38 -0.56
O 0.501 -1.011 -0.639 0.74 -0.88 -0.42 -0.29
```
Positions in Å, forces in eV/Å.

Summary:
Energy = -453.0436 a.u.
Frontier orbital gap = 11.0283 eV
F_max = 4.651 eV/Å
Charge = 0
SMILES string = [H]/N=C\NOC(=O)OC
Relative energy (zero: lowest compared OMol25 entry of this formula, charge and spin) = 98.8 kcal/mol

Entry from the OMol25 dataset: C3H6N2O3 in the gas phase in a non-equilibrium geometry (ωB97M-V with the def2-TZVPD basis set).

```
14
Properties=species:S:1:pos:R:3:forces:R:3:mulliken_charge:R:1
C 1.461 0.077 0.623 -1.62 -1.02 1.82 -0.93
C -0.508 -0.226 -0.931 -0.16 0.84 0.55 -0.25
C -1.405 -1.193 -0.232 -1.47 -2.73 -1.15 0.52
H 1.447 0.350 1.697 0.09 0.20 -0.61 0.28
H 1.300 -1.019 0.649 0.23 0.52 -0.25 0.37
H 2.444 0.285 0.244 0.08 0.53 -0.78 0.33
H -1.083 0.491 -1.493 -0.69 0.01 -0.35 0.42
H 0.046 -0.793 -1.636 0.89 -0.50 -0.52 0.34
H -1.405 -0.069 1.188 -0.86 -0.52 0.48 0.39
N 0.250 0.621 -0.048 1.59 0.01 -0.21 0.29
N 0.180 1.921 -0.424 0.35 0.76 1.12 -0.28
O -1.919 -0.891 0.975 1.52 1.30 -0.47 -0.47
O -1.704 -2.226 -0.813 0.31 1.40 1.03 -0.56
O 0.896 2.673 0.201 -0.25 -0.80 -0.65 -0.44
```
Positions in Å, forces in eV/Å.
+++

Printing your digital image files:
The only current way to insure that your images will be around for generations after you have made them is to convert the images into prints. You must be careful about this process as different print processes differ widely in their longevity.
Photographic Prints and Ink Jet Prints
Photographic prints: average lifespan of photographic prints ranges from 22 years to approximately 45 years. They can be quick and easy to obtain because your local photo service provider does the work. 4×6 sized prints are relatively inexpensive.
Ink-Jet Prints: average lifespan can range from 6 months to over 250 years depending upon the printer, ink, and paper used. It is important to know what the life expectancy is for the particular combination of printer, ink, and paper is that you use (see Wilhelm Institute resource listing below.)  DO NOT skimp on cost of materials, most after-market inks and papers designed for the home user fade in a very short period of time.
Pigment inks last longest, dye based inks fade quickly.

Online Resources:
Library of Congress:  Website on Digital Preservation:
Wilhelm Institute: Website with comprehensive list on longevity of print materials:
Drobo data storage systems:                    Seagate External Hard-drives: